(Activity)
Your job: return the contents underneath word for word.

(Material)
=====
1.
Density functional theory data (ωB97M-V/def2-TZVPD) for one molecule with the formula C6H14IN at a distorted geometry.

Computed properties:
2S+1: 1
Energy: -589.3552 Ha
Molecular weight: 227.1 g/mol
Relative energy (zero: lowest compared OMol25 entry of this formula, charge and spin): 12.6 kcal per mole
Frontier orbital gap: 8.226 eV
SMILES: CCC(C)(C)N(C)I
Maximum force: 3.79 eV Å⁻¹

Geometry as XYZ:
```
22
Properties=species:S:1:pos:R:3:forces:R:3:mulliken_charge:R:1
C 0.028657 2.333964 0.123732 1.1 3.3 -1.4 -0.995
C -1.065446 -1.403884 0.343218 -0.8 0.9 -2.1 -1.781
C 0.335774 -0.239075 1.979931 0.2 -1.7 -1.8 -1.557
C 1.097015 -1.476251 -1.589745 0.9 0.1 -1.2 -0.774
C -0.507305 1.057432 -0.365112 -0.8 -3.3 1.6 -0.543
C 0.091847 -0.320905 0.471747 -0.9 -0.3 -2.8 1.249
N 1.289339 -0.924067 -0.248004 -0.2 0.9 1.1 -0.369
I 3.094045 0.022815 0.001872 -0.2 0.1 -0.1 0.053
H 1.154351 2.603333 -0.102754 -2.0 -1.3 1.1 0.201
H -0.413451 3.280963 -0.393483 0.1 -1.7 0.9 0.330
H -0.302864 2.325479 1.145567 0.7 0.9 0.8 0.279
H -1.603480 -1.456274 -0.728925 1.0 0.6 2.5 0.284
H -0.748185 -2.421771 0.495062 0.6 -0.3 0.3 0.505
H -1.749187 -1.165953 1.171843 -0.3 -0.1 -0.7 0.487
H 1.333407 0.055330 2.193285 0.8 0.4 0.4 0.436
H -0.363100 0.447129 2.349000 -1.0 0.8 1.1 0.449
H 0.164804 -1.286725 2.324963 0.2 1.0 0.3 0.349
H 1.992559 -1.263676 -2.344754 -1.7 -0.6 1.9 0.249
H 1.033103 -2.579221 -1.353354 -0.3 1.0 -1.3 0.300
H 0.212673 -1.003902 -2.115887 0.7 -1.0 0.6 0.250
H -1.654037 0.964092 -0.262271 1.7 0.5 -0.1 0.300
H -0.274484 0.849333 -1.376944 0.2 -0.2 -1.1 0.296
```
Forces are in eV/Å.

***

2.
Density functional theory data (ωB97M-V/def2-TZVPD) for an isolated ion of composition C6H14IN2 and charge +1 at a distorted geometry.

Computed properties:
2S+1: 1
Energy: -643.8655 Ha
Molecular weight: 241.1 g/mol
Charge: +1
Relative energy (zero: lowest compared OMol25 entry of this formula, charge and spin): 59.7 kcal per mole
Frontier orbital gap: 8.556 eV
SMILES: CC[C@@H](C)C(=[NH2+])N(C)I
Maximum force: 7.81 eV Å⁻¹

Geometry as XYZ:
```
23
Properties=species:S:1:pos:R:3:forces:R:3:mulliken_charge:R:1
C -0.824496 -0.575100 -0.045832 -4.0 3.9 5.5 0.321
C 2.276618 -0.595140 0.998365 1.0 -2.9 1.5 -1.227
C -0.043647 0.735784 -2.047588 -1.9 0.3 1.4 -1.426
C -1.452299 1.493718 1.394103 -0.2 -1.1 3.0 -0.806
C 1.765693 -0.537720 -0.350062 -1.6 1.3 -3.2 -0.566
C 0.319906 0.211699 -0.551857 2.3 0.8 -1.1 0.438
N -1.824472 0.126887 1.109676 2.9 -2.8 -3.9 -0.558
N -1.188091 -1.786200 -0.222160 1.7 0.2 -1.3 -0.173
I -3.790803 -0.257633 0.616587 0.0 0.3 0.2 0.212
H 1.490117 -1.080095 1.580830 0.5 -0.3 0.6 0.307
H 3.264387 -1.182649 1.044609 -1.7 0.4 -0.1 0.317
H 2.542747 0.264766 1.500410 0.2 2.4 0.7 0.403
H -0.029289 -0.008550 -2.818176 0.5 -0.5 -0.3 0.377
H -1.140538 1.142070 -2.086095 2.0 -0.6 0.4 0.328
H 0.629708 1.570362 -2.230164 0.0 -0.2 -0.3 0.410
H -0.393566 1.385788 1.827295 -1.6 0.9 -0.7 0.325
H -1.613340 2.142878 0.569183 0.3 0.9 -0.5 0.322
H -2.172577 1.709173 2.251420 1.2 0.5 -1.0 0.391
H 2.460611 -0.032144 -1.028800 -0.2 0.0 -0.1 0.402
H 1.657890 -1.534098 -0.726682 0.0 -0.8 -0.4 0.338
H 0.596993 1.225273 -0.113652 -1.5 -1.5 0.5 0.324
H -0.503041 -2.181886 -0.850000 -0.5 -1.6 -0.2 0.328
H -2.028517 -2.237193 0.178587 0.7 0.4 -0.4 0.214
```
Forces are in eV/Å.

----------

Entry 1:
2 unconnected molecules or ions with the total composition C12H17N in a non-equilibrium geometry, computed with ωB97M-V/def2-TZVPD.

Structure (XYZ):
```
30
Properties=species:S:1:pos:R:3:forces:R:3:lowdin_charge:R:1
C -2.599488 0.557709 2.903681 -0.091 -0.090 0.105 -0.0529
C -1.777125 0.909421 1.707127 -0.397 -0.294 -0.183 -0.2345
C -0.972530 1.987799 1.605610 0.123 0.493 0.002 -0.0679
N -0.390707 2.054890 0.349269 -0.338 0.158 0.429 0.0843
C -0.854684 0.989455 -0.369049 0.072 -0.117 -1.139 -0.2315
C -0.534047 0.569149 -1.657026 0.222 -0.321 -0.103 -0.0407
C -0.994384 -0.670900 -2.064196 0.085 0.197 0.187 -0.1229
=====

(Response)
1.
Density functional theory data (ωB97M-V/def2-TZVPD) for one molecule with the formula C6H14IN at a distorted geometry.

Computed properties:
2S+1: 1
Energy: -589.3552 Ha
Molecular weight: 227.1 g/mol
Relative energy (zero: lowest compared OMol25 entry of this formula, charge and spin): 12.6 kcal per mole
Frontier orbital gap: 8.226 eV
SMILES: CCC(C)(C)N(C)I
Maximum force: 3.79 eV Å⁻¹

Geometry as XYZ:
```
22
Properties=species:S:1:pos:R:3:forces:R:3:mulliken_charge:R:1
C 0.028657 2.333964 0.123732 1.1 3.3 -1.4 -0.995
C -1.065446 -1.403884 0.343218 -0.8 0.9 -2.1 -1.781
C 0.335774 -0.239075 1.979931 0.2 -1.7 -1.8 -1.557
C 1.097015 -1.476251 -1.589745 0.9 0.1 -1.2 -0.774
C -0.507305 1.057432 -0.365112 -0.8 -3.3 1.6 -0.543
C 0.091847 -0.320905 0.471747 -0.9 -0.3 -2.8 1.249
N 1.289339 -0.924067 -0.248004 -0.2 0.9 1.1 -0.369
I 3.094045 0.022815 0.001872 -0.2 0.1 -0.1 0.053
H 1.154351 2.603333 -0.102754 -2.0 -1.3 1.1 0.201
H -0.413451 3.280963 -0.393483 0.1 -1.7 0.9 0.330
H -0.302864 2.325479 1.145567 0.7 0.9 0.8 0.279
H -1.603480 -1.456274 -0.728925 1.0 0.6 2.5 0.284
H -0.748185 -2.421771 0.495062 0.6 -0.3 0.3 0.505
H -1.749187 -1.165953 1.171843 -0.3 -0.1 -0.7 0.487
H 1.333407 0.055330 2.193285 0.8 0.4 0.4 0.436
H -0.363100 0.447129 2.349000 -1.0 0.8 1.1 0.449
H 0.164804 -1.286725 2.324963 0.2 1.0 0.3 0.349
H 1.992559 -1.263676 -2.344754 -1.7 -0.6 1.9 0.249
H 1.033103 -2.579221 -1.353354 -0.3 1.0 -1.3 0.300
H 0.212673 -1.003902 -2.115887 0.7 -1.0 0.6 0.250
H -1.654037 0.964092 -0.262271 1.7 0.5 -0.1 0.300
H -0.274484 0.849333 -1.376944 0.2 -0.2 -1.1 0.296
```
Forces are in eV/Å.

***

2.
Density functional theory data (ωB97M-V/def2-TZVPD) for an isolated ion of composition C6H14IN2 and charge +1 at a distorted geometry.

Computed properties:
2S+1: 1
Energy: -643.8655 Ha
Molecular weight: 241.1 g/mol
Charge: +1
Relative energy (zero: lowest compared OMol25 entry of this formula, charge and spin): 59.7 kcal per mole
Frontier orbital gap: 8.556 eV
SMILES: CC[C@@H](C)C(=[NH2+])N(C)I
Maximum force: 7.81 eV Å⁻¹

Geometry as XYZ:
```
23
Properties=species:S:1:pos:R:3:forces:R:3:mulliken_charge:R:1
C -0.824496 -0.575100 -0.045832 -4.0 3.9 5.5 0.321
C 2.276618 -0.595140 0.998365 1.0 -2.9 1.5 -1.227
C -0.043647 0.735784 -2.047588 -1.9 0.3 1.4 -1.426
C -1.452299 1.493718 1.394103 -0.2 -1.1 3.0 -0.806
C 1.765693 -0.537720 -0.350062 -1.6 1.3 -3.2 -0.566
C 0.319906 0.211699 -0.551857 2.3 0.8 -1.1 0.438
N -1.824472 0.126887 1.109676 2.9 -2.8 -3.9 -0.558
N -1.188091 -1.786200 -0.222160 1.7 0.2 -1.3 -0.173
I -3.790803 -0.257633 0.616587 0.0 0.3 0.2 0.212
H 1.490117 -1.080095 1.580830 0.5 -0.3 0.6 0.307
H 3.264387 -1.182649 1.044609 -1.7 0.4 -0.1 0.317
H 2.542747 0.264766 1.500410 0.2 2.4 0.7 0.403
H -0.029289 -0.008550 -2.818176 0.5 -0.5 -0.3 0.377
H -1.140538 1.142070 -2.086095 2.0 -0.6 0.4 0.328
H 0.629708 1.570362 -2.230164 0.0 -0.2 -0.3 0.410
H -0.393566 1.385788 1.827295 -1.6 0.9 -0.7 0.325
H -1.613340 2.142878 0.569183 0.3 0.9 -0.5 0.322
H -2.172577 1.709173 2.251420 1.2 0.5 -1.0 0.391
H 2.460611 -0.032144 -1.028800 -0.2 0.0 -0.1 0.402
H 1.657890 -1.534098 -0.726682 0.0 -0.8 -0.4 0.338
H 0.596993 1.225273 -0.113652 -1.5 -1.5 0.5 0.324
H -0.503041 -2.181886 -0.850000 -0.5 -1.6 -0.2 0.328
H -2.028517 -2.237193 0.178587 0.7 0.4 -0.4 0.214
```
Forces are in eV/Å.

----------

Entry 1:
2 unconnected molecules or ions with the total composition C12H17N in a non-equilibrium geometry, computed with ωB97M-V/def2-TZVPD.

Structure (XYZ):
```
30
Properties=species:S:1:pos:R:3:forces:R:3:lowdin_charge:R:1
C -2.599488 0.557709 2.903681 -0.091 -0.090 0.105 -0.0529
C -1.777125 0.909421 1.707127 -0.397 -0.294 -0.183 -0.2345
C -0.972530 1.987799 1.605610 0.123 0.493 0.002 -0.0679
N -0.390707 2.054890 0.349269 -0.338 0.158 0.429 0.0843
C -0.854684 0.989455 -0.369049 0.072 -0.117 -1.139 -0.2315
C -0.534047 0.569149 -1.657026 0.222 -0.321 -0.103 -0.0407
C -0.994384 -0.670900 -2.064196 0.085 0.197 0.187 -0.1229